Invasive plants are non-native plants that have been introduced to BC and have detrimental economic, environmental, and health effects on local humans, livestock, and wildlife. Also known as noxious weeds or alien species, they are far more aggressive than other common garden or lawn weeds. Economic impacts of invasive plants include reduced forage quality and quantity for cattle ranchers, as many invasive plants are unpalatable to livestock. Invasive plants are the second largest threat to biodiversity in the world, due to their ability to out-compete native plants; this threatens habitat for wildlife as native plants are displaced. New invasive plants to watch out for in 2016 for the Cariboo-Chilcotin and Coast regions include Common Bugloss, Hairy Catsear, Himalayan Blackberry, Large Yellow Loosetrife, Queen Anne’s Lace (aka Wild Carrot), Butterfly Bush, Caraway, Cypress Spurge, Wild Chervil, and Mountain Bluet (see photos). If you see any of these anywhere in our region, report them immediately.
One of the most significant ways invasive plants are spread is through human activities. Cars and trucks on the highway, all-terrain vehicles and mountain bikes on trail systems, and industrial activities such as logging and gravel extraction can transport and unknowingly disperse weed seeds to new areas. Many invasive plants are garden ornamentals that escape from gardens and invade natural areas (visithttp://bcinvasives.ca/resources/programs/plant-wise/ for popular alternatives). By knowing what species are considered invasive in our region, you can detect new invaders and respond quickly and efficiently. The Cariboo-Chilcotin Coast Invasive Plant Committee website has an entire list of local regional priority invasive species by sub-region online at www.cccipc.ca.

~~~
1.
This entry pairs a crystal structure of Li9Mn2Co5O16 with its simulated XRD peak list. Radiation: Cu Kα. Structure: a structure optimized by DFT (PBE+U).
Lines closer than 0.1° are merged.

Top 10 peaks for 2θ from 10° to 80°, by angle:
- 2θ = 18.32°, rel. 100, (4 0 0)
- 2θ = 35.98°, rel. 39, (1 1 2)
- 2θ = 37.73°, rel. 7, (3 1 -2)
- 2θ = 43.46°, rel. 55, (5 1 2)
- 2θ = 43.71°, rel. 26, (6 0 -4)
- 2θ = 47.82°, rel. 9, (7 1 -2)
- 2θ = 57.23°, rel. 10, (9 1 2)
- 2θ = 63.21°, rel. 14, (11 1 -2)
- 2θ = 63.47°, rel. 14, (1 1 -6)
- 2θ = 63.84°, rel. 7, (0 2 0)

Structural model:
Lattice parameters (Å, degrees): 19.4300 2.9161 10.1715 90.00 94.28 90.00
Space group Cm (No. 8)
Asymmetric unit:
1 Li 0.0000 0.0000 0.0000
2 Li 0.0004 0.5000 0.2495
3 Li 0.0020 0.5000 0.7509
4 Li 0.0053 0.0000 0.5002
5 Li 0.1199 0.5000 0.4403
6 Li 0.2335 0.0000 0.3822
7 Li 0.2374 0.5000 0.1268
8 Li 0.2386 0.0000 0.8765
9 Li 0.2410 0.5000 0.6290
10 Mn 0.3691 0.0000 0.5651
11 Mn 0.3707 0.0000 0.0635
12 Co 0.1186 0.0000 0.2043
13 Co 0.1198 0.5000 0.9397
14 Co 0.1214 0.0000 0.6752
15 Co 0.3695 0.5000 0.3148
16 Co 0.3706 0.5000 0.8148
17 O 0.0573 0.0000 0.3289
18 O 0.0607 0.5000 0.6020
19 O 0.0631 0.0000 0.8455
20 O 0.0655 0.5000 0.0873
21 O 0.1765 0.0000 0.0327
22 O 0.1756 0.5000 0.7931
23 O 0.1799 0.5000 0.2780
24 O 0.1807 0.0000 0.5486
25 O 0.3133 0.5000 0.9896
26 O 0.3138 0.5000 0.4850
27 O 0.3154 0.0000 0.7157
28 O 0.3185 0.0000 0.2222
29 O 0.4215 0.0000 0.4063
30 O 0.4253 0.0000 0.9153
31 O 0.4260 0.5000 0.1436
32 O 0.4262 0.5000 0.6393

2.
This entry pairs a crystal structure of LiVCrP4O14 with its simulated XRD peak list. Radiation: Cu Kα. Structure: a structure optimized by DFT (PBE+U).
Lines closer than 0.1° are merged.

Top 10 peaks for 2θ from 10° to 80°, by angle:
- 2θ = 17.28°, rel. 100, (1 1 1)
- 2θ = 22.17°, rel. 22, (1 1 -1)
- 2θ = 22.58°, rel. 43, (0 1 -2)
- 2θ = 25.83°, rel. 17, (1 -2 1)
- 2θ = 26.72°, rel. 20, (2 0 0)
- 2θ = 28.98°, rel. 24, (2 -1 0)
- 2θ = 29.70°, rel. 51, (0 2 -2)
- 2θ = 29.91°, rel. 25, (1 1 3)
- 2θ = 34.97°, rel. 13, (2 2 2)
- 2θ = 39.64°, rel. 11, (3 1 1)

Structural model:
Lattice parameters (Å, degrees): 7.1656 8.0703 9.6894 89.97 68.62 89.94
Space group P1 (No. 1)
Asymmetric unit:
1 Li 0.0000 0.0000 0.0000
2 Li 0.1524 0.5021 0.5008
3 V 0.1113 0.1337 0.4940
4 V 0.6060 0.1450 0.9940
5 Cr 0.0453 0.6353 0.0069
6 Cr 0.5497 0.6441 0.5068
7 P 0.0413 0.3206 0.8118
8 P 0.1144 0.8184 0.6907
9 P 0.2335 0.9195 0.1833
10 P 0.4278 0.4216 0.8150
11 P 0.5362 0.3158 0.3136
12 P 0.6193 0.8145 0.1901
13 P 0.7279 0.9207 0.6849
14 P 0.9240 0.4199 0.3151
15 O 0.0329 0.4567 0.1524
16 O 0.0627 0.3259 0.3791
17 O 0.0755 0.3130 0.6444
18 O 0.0841 0.8203 0.8546
19 O 0.0862 0.8351 0.1265
20 O 0.1295 0.9687 0.3475
21 O 0.1858 0.9904 0.6236
22 O 0.2453 0.6790 0.5995
23 O 0.2516 0.2839 0.8287
24 O 0.3249 0.0748 0.0899
25 O 0.3318 0.5709 0.9099
26 O 0.3981 0.1764 0.3992
27 O 0.4029 0.7865 0.1720
28 O 0.4579 0.4858 0.3790
29 O 0.5331 0.4626 0.6522
~~~
What can you do?
Remember to always PLAY CLEAN GO which means checking yourself, vehicles, pets, gear, boats, and other equipment for invasive plants that may be “hitchhiking.”
REPORT invasive plants you see (see ad on this page for ways to report).
Properly DISPOSE of invasive plants by placing all material into a sealed plastic bag and then into the garbage (or invasive plant bin if there is one).
DON’T PLANT invasive species in your ornamental gardens.
HELP SPREAD THE WORD, not the weeds!

All these actions help prevent invasive species from forming complete monocultures and creating what is called a “biodesert” with very low habitat value (food and/or shelter) for our native species of insects, birds, and animals. Monocultures of aquatic invasive plants also have impacts on our fish as these riparian species quickly choke out water ways, deplete them of oxygen, make them impassable, and shade them out.
Spring Challenge: Choose an invasive plant picture on this page, then think of someone you know whose name starts with the same letter of the alphabet as the plant. Now, seek this person out and tell them about invasive plants and how they can help.
Visit the Cariboo-Chilcotin Coast Invasive Plant Committee website at www.cccipc.ca for more information on local invasive plant species or call (250) 855-WEED. The CCCIPC gratefully acknowledges the financial support of the Province of British Columbia.